Please retype only the lines below with the word "structure" in them.
<<<
The following is a DFT calculation (the ωB97M-V functional and the def2-TZVPD basis) of the ion C8H13N2O2 with charge +1.

Calculated values
E_LUMO   -2.5 eV
Orbital gap   11.087 eV
Total charge   +1
SMILES   C[N@@H+]1[C@@]2(OC(N)=O)CC[C@H]3C[C@]312

Last column: Mulliken charge in e.
CARTESIAN COORDINATES (ANGSTROEM)
C (-0.3208, 2.1562, -0.6437)  -1.03
N (0.2826, 0.7700, -0.5700)  -0.07
C (-0.2744, -0.3221, 0.3059)  0.61
O (-1.4309, -0.1340, 0.9454)  -0.48
C (-2.5650, -0.1711, 0.1401)  0.52
N (-3.6511, -0.2345, 0.8843)  -0.32
O (-2.3958, -0.0848, -1.0611)  -0.54
C (0.1480, -1.5703, -0.5378)  -0.76
C (1.7777, -1.4448, -0.7245)  -1.03
C (2.0900, -0.6849, 0.5747)  0.06
C (2.4179, 0.6686, 1.0105)  -0.84
C (1.0130, 0.3842, 0.6762)  0.54
H (-0.6050, 2.3294, 0.4577)  0.35
H (0.4641, 2.7514, -0.9982)  0.41
H (-1.2964, 2.0072, -1.0359)  0.39
H (0.4022, 0.6591, -1.5663)  0.29
H (-4.5105, -0.5679, 0.5835)  0.25
H (-3.4259, 0.0993, 1.8302)  0.24
H (-0.1095, -1.6915, -1.5983)  0.36
H (0.0054, -2.4123, 0.0681)  0.56
H (2.0703, -2.4934, -0.8857)  0.37
H (1.9286, -0.9660, -1.6985)  0.40
H (2.1537, -1.2002, 1.5430)  0.29
H (2.8203, 0.8463, 1.9759)  0.24
H (3.0117, 1.3060, 0.3246)  0.21

=====

The following is a DFT calculation (the ωB97M-V functional and the def2-TZVPD basis) of a cluster of 2 separate species, C8H13N2O4S in total.

Calculated values
E_LUMO   -3.3 eV
Orbital gap   8.194 eV
Total charge   +1

Last column: Mulliken charge in e.
CARTESIAN COORDINATES (ANGSTROEM)
C (-2.5431, -2.5261, 0.5952)  -0.67
C (-3.2521, -1.8455, 1.5432)  -0.03
C (0.0618, 0.6774, 1.1408)  0.53
C (0.5679, -0.5665, 1.3672)  0.15
C (-2.1169, -0.3505, -0.1133)  0.34
C (3.0890, -0.9948, -1.1165)  -1.31
C (-0.7795, 3.9734, 0.1473)  -0.61
C (1.9876, -0.2505, -0.4789)  -0.16
N (0.0283, 1.9189, 1.1630)  -0.51
N (-2.0499, -1.6488, -0.3905)  0.02
O (0.0227, -1.3640, 2.2416)  -0.40
O (-1.7394, 0.6001, -0.9536)  -0.41
O (1.4395, -1.1042, 0.4841)  -0.30
O (-1.0475, 2.6360, 0.4929)  -0.19
S (-3.0777, -0.1761, 1.2832)  0.06
H (-2.3101, -3.5542, 0.5016)  0.45
H (-3.7825, -2.0813, 2.5000)  0.39
H (2.8156, -1.8512, -1.7090)  0.31
H (3.7341, -0.2984, -1.6680)  0.39
H (3.7288, -1.2260, -0.2452)  0.33
H (-1.2383, 4.6052, 0.8171)  0.28
H (-1.2904, 4.1198, -0.8918)  0.22
H (0.3232, 4.0042, 0.1937)  0.30
H (1.2684, 0.1800, -1.2156)  0.26
H (2.1187, 0.7162, 0.1291)  0.40
H (0.3700, -2.2481, 2.1464)  0.36
H (-1.6073, -2.0976, -1.2930)  0.35
H (-2.0051, 1.4882, -0.6341)  0.43

=====

The following is a DFT calculation (the ωB97M-V functional and the def2-TZVPD basis) of a cluster of 2 separate species, C8H13N2S in total.

Calculated values
E_LUMO   -3.6 eV
Orbital gap   8.912 eV
Total charge   +1

Last column: Mulliken charge in e.
CARTESIAN COORDINATES (ANGSTROEM)
C (2.6849, -1.2423, 0.7273)  -0.54
C (1.2122, 0.1668, -0.3626)  -0.91
C (1.4734, -1.1483, 0.1136)  0.41
C (2.2583, 0.9953, -0.1191)  0.38
C (-3.1712, 0.3796, 0.7411)  -0.41
C (-1.7305, 0.2069, 1.2194)  -0.60
C (-2.0565, 0.2536, -0.1990)  0.45
C (0.5466, -2.2950, -0.0971)  -1.29
N (2.3911, 2.3877, -0.5681)  -0.20
N (-1.5962, 0.3039, -1.3567)  -0.59
S (3.5631, 0.2326, 0.7403)  -0.13
H (3.1304, -2.1102, 1.1721)  0.48
H (-3.8576, -0.4419, 0.8777)  0.26
H (-3.6353, 1.3499, 0.8509)  0.24
H (-1.2236, 1.0470, 1.6742)  0.22
H (-1.4653, -0.7382, 1.6674)  0.21
H (1.0916, -3.2346, -0.0897)  0.45
H (-0.2058, -2.3346, 0.6876)  0.20
H (0.0318, -2.1834, -1.0480)  0.34
H (2.1369, 3.0628, 0.1687)  0.37
H (3.3673, 2.5679, -0.8455)  0.39
H (1.7753, 2.5358, -1.3813)  0.39
H (-2.2944, 0.4102, -2.0931)  0.20
H (0.3118, 0.4114, -0.9026)  0.67

=====

The following is a DFT calculation (the ωB97M-V functional and the def2-TZVPD basis) of a structure of composition C8H13N3O.

Calculated values
E_LUMO   0.4 eV
Orbital gap   8.603 eV
Total charge   0

Last column: Mulliken charge in e.
CARTESIAN COORDINATES (ANGSTROEM)
C (-3.4130, -1.5868, 0.6200)  -1.02
C (-2.0649, -0.8086, 0.0464)  0.83
C (-2.2372, 0.5638, -0.0722)  -0.50
>>>
The following is a DFT calculation (the ωB97M-V functional and the def2-TZVPD basis) of a structure of composition C8H13N3O.